Exercise
Filter the contents further below: keep the lines with the word "values".

Material
- - -
The following is a SCAN calculation of LaZn2Ir at its PBEsol-relaxed geometry, from Alexandria via LeMat-Bulk.

Lattice parameters (Å, degrees): 3.249 3.249 7.023 90.00 90.00 90.00
Space group P4mm (No. 99)
Symmetry-distinct sites (fractional):
La1 0.000 0.000 0.000
Zn1 0.000 0.000 0.543
Zn2 0.500 0.500 0.341
Ir1 0.500 0.500 0.721

Calculated values
N(E_F) (states/eV/atom): 0.67
Volume (Å³/cell): 74.1
ΔE_f (eV/atom): -0.2776

The following is a SCAN calculation of LaZn2Ir at its PBEsol-relaxed geometry, from Alexandria via LeMat-Bulk.

Lattice parameters (Å, degrees): 4.3399 4.3399 14.8142 90.00 90.00 120.00
Space group R3m (No. 160, hexagonal axes)
Symmetry-distinct sites (fractional):
La1 0.0000 0.0000 0.0000
Zn1 0.0000 0.0000 0.5229
Zn2 0.0000 0.0000 0.8000
Ir1 0.0000 0.0000 0.2015

Calculated values
N(E_F) (states/eV/atom): 0.57
Volume (Å³/cell): 241.7
ΔE_f (eV/atom): -0.5381

----------

Computed, not measured: Pu2PaZn2Ge2 after structural relaxation at the PBE level of DFT.

Computed properties:
E = -50.5 eV per formula unit

a = 4.0470 Å, b = 4.0470 Å, c = 9.4366 Å
α = 77.62°, β = 77.62°, γ = 60.00°
Positions (direct):
Pa 0.0000 0.0000 0.0000
Zn 0.5933 0.5933 0.2201
Zn 0.4067 0.4067 0.7799
Pu 0.8490 0.8490 0.4530
Pu 0.1510 0.1510 0.5470
- - -

Outcome
Calculated values
Calculated values